Given >
'''
Sr3In4Pb4 | Alexandria via LeMat-Bulk | PBE | optimized geometry; ΔE_f = -313 meV per atom; D(E_F) = 0.46 states/eV per atom; theoretical density = 7.0 g/cm³; magnetization = 0.0 μB per formula unit
1.0
-2.516 4.278 8.526
2.516 -4.278 8.526
2.516 4.278 -8.526
Sr In Pb
3 4 4
Cartesian
0.000 0.000 0.000 Sr
2.516 0.000 6.429 Sr
0.000 4.278 2.097 Sr
2.516 1.758 -2.945 In
2.516 1.758 2.945 In
0.000 2.520 5.581 In
0.000 2.520 11.471 In
0.000 0.000 3.667 Pb
'''

Activity >
Now give back the material above without additions.

Response >
Sr3In4Pb4 | Alexandria via LeMat-Bulk | PBE | optimized geometry; ΔE_f = -313 meV per atom; D(E_F) = 0.46 states/eV per atom; theoretical density = 7.0 g/cm³; magnetization = 0.0 μB per formula unit
1.0
-2.516 4.278 8.526
2.516 -4.278 8.526
2.516 4.278 -8.526
Sr In Pb
3 4 4
Cartesian
0.000 0.000 0.000 Sr
2.516 0.000 6.429 Sr
0.000 4.278 2.097 Sr
2.516 1.758 -2.945 In
2.516 1.758 2.945 In
0.000 2.520 5.581 In
0.000 2.520 11.471 In
0.000 0.000 3.667 Pb